┌──
Entry 1:
{"formula": "MgSi2", "functional": "GGA-PBE", "state": "optimized geometry", "polymorph_energy_mev_per_atom": 98, "magnetic_moment_mub_per_cell": 0.00, "formation_energy_ev_per_atom": 0.18, "density_g_cm3": 2.4, "cell": [[6.948, 0.000, 0.000], [0.000, 3.711, 0.000], [-3.223, 0.000, 8.710]], "species": ["Mg", "Mg", "Mg", "Mg", "Si", "Si", "Si", "Si", "Si", "Si", "Si", "Si"], "fractional_positions": [[0.000, 0.000, 0.000], [0.118, 0.500, 0.438], [0.591, 0.500, 0.002], [0.819, 0.000, 0.533], [0.076, 0.500, 0.728], [0.287, 0.500, 0.200], [0.298, 0.000, 0.827], [0.394, 0.000, 0.379], [0.508, 0.000, 0.661], [0.655, 0.500, 0.300], [0.742, 0.500, 0.766], [0.834, 0.000, 0.233]]}



Entry 2:
{"formula": "K2SiH4N2O2", "functional": "GGA-PBE", "state": "optimized geometry", "formation_energy_ev_per_atom": -1.26, "density_g_cm3": 2.1, "cell": [[6.880, 0.000, 0.000], [0.000, 10.030, 0.000], [-0.130, 0.000, 7.675]], "species": ["K", "K", "K", "K", "K", "K", "K", "K", "Si", "Si", "Si", "Si", "H", "H", "H", "H", "H", "H", "H", "H", "H", "H", "H", "H", "H", "H", "H", "H", "N", "N", "N", "N", "N", "N", "N", "N", "O", "O", "O", "O", "O", "O", "O", "O"], "fractional_positions": [[0.149, 0.062, 0.341], [0.149, 0.438, 0.841], [0.156, 0.696, 0.519], [0.156, 0.804, 0.019], [0.844, 0.196, 0.981], [0.844, 0.304, 0.481], [0.851, 0.562, 0.159], [0.851, 0.938, 0.659], [0.286, 0.075, 0.756], [0.286, 0.425, 0.256], [0.714, 0.575, 0.744], [0.714, 0.925, 0.244], [0.253, 0.182, 0.036], [0.253, 0.318, 0.536], [0.397, 0.052, 0.056], [0.397, 0.448, 0.556], [0.451, 0.618, 0.936], [0.451, 0.882, 0.436], [0.454, 0.732, 0.780], [0.454, 0.768, 0.280], [0.546, 0.232, 0.720], [0.546, 0.268, 0.220], [0.549, 0.118, 0.564], [0.549, 0.382, 0.064], [0.603, 0.552, 0.444], [0.603, 0.948, 0.944], [0.747, 0.682, 0.464], [0.747, 0.818, 0.964], [0.281, 0.089, 0.987], [0.281, 0.411, 0.487], [0.479, 0.633, 0.806], [0.479, 0.867, 0.306], [0.521, 0.133, 0.694], [0.521, 0.367, 0.194], [0.719, 0.589, 0.513], [0.719, 0.911, 0.013], [0.109, 0.169, 0.685], [0.109, 0.331, 0.185], [0.271, 0.580, 0.197], [0.271, 0.920, 0.697], [0.729, 0.080, 0.303], [0.729, 0.420, 0.803], [0.891, 0.669, 0.815], [0.891, 0.831, 0.315]]}



Entry 3:
{"formula": "SmMg3", "functional": "GGA-PBE", "state": "optimized geometry", "formation_energy_ev_per_atom": -0.11, "density_g_cm3": 3.7, "cell": [[0.000, 3.689, 3.689], [3.689, 0.000, 3.689], [3.689, 3.689, 0.000]], "species": ["Sm", "Mg", "Mg", "Mg"], "fractional_positions": [[0.000, 0.000, 0.000], [0.250, 0.250, 0.250], [0.500, 0.500, 0.500], [0.750, 0.750, 0.750]]}

~~~~~

(1)
The following is a GGA-PBE calculation of an optimized crystal structure of MgUO4, from the Materials Project database.

Cell lengths 3.483, 4.711, 4.711 Å; angles 90.71, 90.00, 90.00 degrees
Positions (direct):
Mg1 0.000 0.500 0.500
U1 0.500 0.000 0.000
O1 0.000 0.191 0.809
O2 0.000 0.809 0.191
O3 0.500 0.298 0.298
O4 0.500 0.702 0.702

Results
VASP energy (eV per atom): -8.45
ρ (Mg/m³): 7.01
Formation energy from the elements (eV per atom): -3.46

(2)
The following is a GGA-PBE calculation of an optimized crystal structure of Mg6VCr, from the Materials Project database.

Cell lengths 4.952, 6.258, 10.680 Å; angles 90.00, 90.00, 90.00 degrees
Positions (direct):
Mg1 0.500 0.249 0.582
Mg2 0.500 0.751 0.582
Mg3 0.000 0.251 0.412
Mg4 0.000 0.749 0.412
Mg5 0.000 0.000 0.672
Mg6 0.000 0.000 0.172
Mg7 0.500 0.749 0.082
Mg8 0.500 0.251 0.082
Mg9 0.000 0.751 0.912
Mg10 0.000 0.249 0.912
Mg11 0.000 0.500 0.172
Mg12 0.000 0.500 0.672
V1 0.500 0.000 0.833
V2 0.500 0.500 0.333
Cr1 0.500 0.000 0.334
Cr2 0.500 0.500 0.834

Results
VASP energy (eV per atom): -3.23
ρ (Mg/m³): 2.50
Formation energy from the elements (eV per atom): 0.32

(3)
The following is a GGA-PBE calculation of an optimized crystal structure of AlP3O9, from the Materials Project database.

Cell lengths 15.241, 6.158, 8.288 Å; angles 74.89, 90.00, 90.00 degrees
Positions (direct):
Al1 0.638 0.385 0.377
Al2 0.138 0.615 0.123
└──
The reader should quote everything further above word for word.
Entry 1:
{"formula": "MgSi2", "functional": "GGA-PBE", "state": "optimized geometry", "polymorph_energy_mev_per_atom": 98, "magnetic_moment_mub_per_cell": 0.00, "formation_energy_ev_per_atom": 0.18, "density_g_cm3": 2.4, "cell": [[6.948, 0.000, 0.000], [0.000, 3.711, 0.000], [-3.223, 0.000, 8.710]], "species": ["Mg", "Mg", "Mg", "Mg", "Si", "Si", "Si", "Si", "Si", "Si", "Si", "Si"], "fractional_positions": [[0.000, 0.000, 0.000], [0.118, 0.500, 0.438], [0.591, 0.500, 0.002], [0.819, 0.000, 0.533], [0.076, 0.500, 0.728], [0.287, 0.500, 0.200], [0.298, 0.000, 0.827], [0.394, 0.000, 0.379], [0.508, 0.000, 0.661], [0.655, 0.500, 0.300], [0.742, 0.500, 0.766], [0.834, 0.000, 0.233]]}



Entry 2:
{"formula": "K2SiH4N2O2", "functional": "GGA-PBE", "state": "optimized geometry", "formation_energy_ev_per_atom": -1.26, "density_g_cm3": 2.1, "cell": [[6.880, 0.000, 0.000], [0.000, 10.030, 0.000], [-0.130, 0.000, 7.675]], "species": ["K", "K", "K", "K", "K", "K", "K", "K", "Si", "Si", "Si", "Si", "H", "H", "H", "H", "H", "H", "H", "H", "H", "H", "H", "H", "H", "H", "H", "H", "N", "N", "N", "N", "N", "N", "N", "N", "O", "O", "O", "O", "O", "O", "O", "O"], "fractional_positions": [[0.149, 0.062, 0.341], [0.149, 0.438, 0.841], [0.156, 0.696, 0.519], [0.156, 0.804, 0.019], [0.844, 0.196, 0.981], [0.844, 0.304, 0.481], [0.851, 0.562, 0.159], [0.851, 0.938, 0.659], [0.286, 0.075, 0.756], [0.286, 0.425, 0.256], [0.714, 0.575, 0.744], [0.714, 0.925, 0.244], [0.253, 0.182, 0.036], [0.253, 0.318, 0.536], [0.397, 0.052, 0.056], [0.397, 0.448, 0.556], [0.451, 0.618, 0.936], [0.451, 0.882, 0.436], [0.454, 0.732, 0.780], [0.454, 0.768, 0.280], [0.546, 0.232, 0.720], [0.546, 0.268, 0.220], [0.549, 0.118, 0.564], [0.549, 0.382, 0.064], [0.603, 0.552, 0.444], [0.603, 0.948, 0.944], [0.747, 0.682, 0.464], [0.747, 0.818, 0.964], [0.281, 0.089, 0.987], [0.281, 0.411, 0.487], [0.479, 0.633, 0.806], [0.479, 0.867, 0.306], [0.521, 0.133, 0.694], [0.521, 0.367, 0.194], [0.719, 0.589, 0.513], [0.719, 0.911, 0.013], [0.109, 0.169, 0.685], [0.109, 0.331, 0.185], [0.271, 0.580, 0.197], [0.271, 0.920, 0.697], [0.729, 0.080, 0.303], [0.729, 0.420, 0.803], [0.891, 0.669, 0.815], [0.891, 0.831, 0.315]]}



Entry 3:
{"formula": "SmMg3", "functional": "GGA-PBE", "state": "optimized geometry", "formation_energy_ev_per_atom": -0.11, "density_g_cm3": 3.7, "cell": [[0.000, 3.689, 3.689], [3.689, 0.000, 3.689], [3.689, 3.689, 0.000]], "species": ["Sm", "Mg", "Mg", "Mg"], "fractional_positions": [[0.000, 0.000, 0.000], [0.250, 0.250, 0.250], [0.500, 0.500, 0.500], [0.750, 0.750, 0.750]]}

~~~~~

(1)
The following is a GGA-PBE calculation of an optimized crystal structure of MgUO4, from the Materials Project database.

Cell lengths 3.483, 4.711, 4.711 Å; angles 90.71, 90.00, 90.00 degrees
Positions (direct):
Mg1 0.000 0.500 0.500
U1 0.500 0.000 0.000
O1 0.000 0.191 0.809
O2 0.000 0.809 0.191
O3 0.500 0.298 0.298
O4 0.500 0.702 0.702

Results
VASP energy (eV per atom): -8.45
ρ (Mg/m³): 7.01
Formation energy from the elements (eV per atom): -3.46

(2)
The following is a GGA-PBE calculation of an optimized crystal structure of Mg6VCr, from the Materials Project database.

Cell lengths 4.952, 6.258, 10.680 Å; angles 90.00, 90.00, 90.00 degrees
Positions (direct):
Mg1 0.500 0.249 0.582
Mg2 0.500 0.751 0.582
Mg3 0.000 0.251 0.412
Mg4 0.000 0.749 0.412
Mg5 0.000 0.000 0.672
Mg6 0.000 0.000 0.172
Mg7 0.500 0.749 0.082
Mg8 0.500 0.251 0.082
Mg9 0.000 0.751 0.912
Mg10 0.000 0.249 0.912
Mg11 0.000 0.500 0.172
Mg12 0.000 0.500 0.672
V1 0.500 0.000 0.833
V2 0.500 0.500 0.333
Cr1 0.500 0.000 0.334
Cr2 0.500 0.500 0.834

Results
VASP energy (eV per atom): -3.23
ρ (Mg/m³): 2.50
Formation energy from the elements (eV per atom): 0.32

(3)
The following is a GGA-PBE calculation of an optimized crystal structure of AlP3O9, from the Materials Project database.

Cell lengths 15.241, 6.158, 8.288 Å; angles 74.89, 90.00, 90.00 degrees
Positions (direct):
Al1 0.638 0.385 0.377
Al2 0.138 0.615 0.123